Thursday, May 21, 2009

Mommy dating

There are online dating services out there for nearly everyone - eHarmony, Match, J-Date, Craigslist even. There are not really sites out there though for 'friend dating'. Want to meet other gals to add to your social circle? Well, walking up to a girl at a bar and saying "hey want to be my friend" could really backfire on you...not that there's anything wrong with that. Want to add other moms to your mommy circle? Well, there are some solutions here - hospital or community sponsored mom's groups, gym and music classes, the park etc. But the mommy dating phenomenon is kinda strange.

'''
Compound: Li2AcTcN4
Source: Alexandria
Functional: PBE
Structure: optimized geometry

Cell lengths 7.850, 5.295, 5.322 Å; angles 90.00, 90.00, 90.00 degrees
Space group Pmn2_1 (No. 31)
Symmetry-distinct sites (fractional):
Li (0.245, 0.206, 0.000) (multiplicity 4)
Ac (0.000, 0.236, 0.504) (multiplicity 2)
Tc (0.000, 0.704, 0.990) (multiplicity 2)
N (0.000, 0.360, 0.029) (multiplicity 2)
N (0.000, 0.745, 0.648) (multiplicity 2)
N (0.189, 0.843, 0.131) (multiplicity 4)

Output
energy relative to the elements, uncorrected	-665	meV per atom
'''

We've been going to Gymboree Music for a couple months now. The boys love it. And they love the other kids - Wyatt, Samantha, David, Emily, Trevor. And the moms are really friendly - one got out my carpet squares for me the other day as I walked in with my arms full of boys. One commented on how much more wiggly Michael is getting (bonus points for remembering which kid was the 'low motivation' one, and knowing which kid was which - arms full, I missed nametags). One just laughed when William walked up and started squeezing her son's cheeks. And I know all sorts of things about their kids - first teeth, first steps, troubles with new foods, napping challenges, you name it.

But to this day, I have no idea any of the moms' names. In fact, this week, we followed one of the moms almost all the way to our house (I promise that it wasn't as creepy as that sounds). She waved at one stop sign and I said to the boys "Boys, wave to David's Mommy." So now I'm thinking "Hmm... David must live rather near us. It could be fun to get together with them at the park or Panera or something". But would it be weird for me to say to "David's mommy", after 2 months of music class, "Hi, David's mommy. I am Tina. Do you want to have lunch with me?"

The thing is - I have my friends. So I assume that other mommys do too. But just because I have my 'out with the girls' friends, doesn't mean that I can't make some mommy friends. I suppose the fact that these other moms are at Gymboree by themselves, not with a group of friends, could mean that they're also looking for some mommy friends. But then I think - I have mommy friends too. We just don't go to Gymboree together because our kids are just slightly different ages. But we also don't get together for lunch or park dates every week because we live all over the county from each other.

[Materials data that have nothing to do with the article]
- - -
Arrangement a

Computed, not measured: HfCuSbOs after structural relaxation at the PBE level of DFT.

## Properties
Space-group type = No. 216
V = 69.9 Å³/cell
M_tot = 0.00 Bohr magnetons per cell

Cell lengths 4.6242, 4.6242, 4.6242 Å; angles 60.00, 60.00, 60.00 degrees
Element x y z (fractional)
Hf  0.0000  0.0000  0.0000
Cu  0.5000  0.5000  0.5000
Sb  0.2500  0.2500  0.2500
Os  0.7500  0.7500  0.7500

Arrangement b

Computed, not measured: HfCuSbOs after structural relaxation at the PBE level of DFT.

## Properties
Space-group type = No. 216
V = 68.2 Å³/cell
M_tot = 0.00 Bohr magnetons per cell

Cell lengths 4.5863, 4.5863, 4.5863 Å; angles 60.00, 60.00, 60.00 degrees
Element x y z (fractional)
Hf  0.0000  0.0000  0.0000
Cu  0.7500  0.7500  0.7500
Sb  0.5000  0.5000  0.5000
Os  0.2500  0.2500  0.2500

Arrangement c

Computed, not measured: HfCuSbOs after structural relaxation at the PBE level of DFT.

## Properties
Space-group type = No. 216
V = 67.4 Å³/cell
M_tot = 0.00 Bohr magnetons per cell

Cell lengths 4.5675, 4.5675, 4.5675 Å; angles 60.00, 60.00, 60.00 degrees
Element x y z (fractional)
Hf  0.0000  0.0000  0.0000
Cu  0.7500  0.7500  0.7500
Sb  0.2500  0.2500  0.2500
Os  0.5000  0.5000  0.5000

In terms of stability, arrangement b leads; the second structure lies 20.1 kJ/mol of atoms higher.

Arrangement a

Computed, not measured: HfTaCuOs after structural relaxation at the PBE level of DFT.

## Properties
Space-group type = No. 216
V = 65.7 Å³/cell
M_tot = 0.00 Bohr magnetons per cell

Cell lengths 4.5297, 4.5297, 4.5297 Å; angles 60.00, 60.00, 60.00 degrees
Element x y z (fractional)
Hf  0.0000  0.0000  0.0000
Ta  0.5000  0.5000  0.5000
Cu  0.2500  0.2500  0.2500
Os  0.7500  0.7500  0.7500

Arrangement b

Computed, not measured: HfTaCuOs after structural relaxation at the PBE level of DFT.

## Properties
Space-group type = No. 216
V = 63.9 Å³/cell
M_tot = 0.00 Bohr magnetons per cell

Cell lengths 4.4865, 4.4865, 4.4865 Å; angles 60.00, 60.00, 60.00 degrees
Element x y z (fractional)
Hf  0.0000  0.0000  0.0000
Ta  0.2500  0.2500  0.2500
Cu  0.7500  0.7500  0.7500
Os  0.5000  0.5000  0.5000

In terms of stability, arrangement a leads; the second structure lies 16.1 kJ/mol of atoms higher.

Arrangement a

Computed, not measured: Hf3Cu4Pb4 after structural relaxation at the PBE level of DFT.

## Properties
Space-group type = No. 121
V = 244.0 Å³/cell
M_tot = 0.00 Bohr magnetons per cell

Cell lengths 7.6561, 7.6561, 7.6561 Å; angles 131.84, 131.84, 70.48 degrees
Element x y z (fractional)
Hf  0.0000  0.0000  0.0000
Hf  0.2500  0.7500  0.5000
Hf  0.7500  0.2500  0.5000
Cu  0.1153  0.6327  0.0000
Cu  0.3673  0.3673  0.4826
Cu  0.6327  0.1153  0.0000
Cu  0.8847  0.8847  0.5174
Pb  0.0000  0.5000  0.5000
Pb  0.2646  0.2646  0.0000
Pb  0.5000  0.0000  0.5000
Pb  0.7354  0.7354  0.0000

Arrangement b

Computed, not measured: Hf3Cu4Pb4 after structural relaxation at the PBE level of DFT.

## Properties
Space-group type = No. 6
- - -

So...maybe next week at Gymboree I will say "Hi I am Tina". I may have to work up to asking another mommy out on a 'date', but maybe I'll get there.